distributed systems
Over the past decades, as we have begun to explain, we have moved from processing the data that we can hold in a lab notebook to working with many thousands of terabytes of information. (For reference, a terabyte is a million megabytes, and a megabyte is a million letters. A plain textbook might be a few megabytes in size, as might a high-quality photograph — a terabyte is like a huge library.) And yet we keep striving to work with ever more: more genomic data; more high-energy physics data; ever more detailed astronomical photographs; ever richer seismographic measurements; ever more layers of interpretation of artistic details; ever greater volumes of financial data; ever more complex and realistic simulations. We drill down ever deeper into the details. How are we coping with this?
We are in the middle of a huge revolution in information processing, driven by the fact that our tool of choice for working with information — the computer — has been getting exponentially better ever since their invention during the Second World War. We live in the middle of an age of wonder. And yet, despite now being able to hold immense quantities of computation and storage in our hands, our desire to work with ever more has grown even faster.
Thankfully we have been living through another revolution at the same time; the telecommunications revolution. The telecommunications revolution started with the invention of the telegraph, but accelerated with the convergence of computers and telecoms to create the Internet. This not only allows people to share information, but also computers, and it has transformed the world. The first indication of just how amazing this would be came with the WorldWideWeb (WWW), the first internet system to really reflect everything that people do throughout society [link/reference here to history chapter]. But it will not be the last; the ripples from the second wave are now being felt, and it is the global research community that are in the lead. This second wave is Distributed Computing.
Simply put, distributed computing is allowing computers to work together in groups to solve a single problem too large for any one of them to perform on its own. However, to claim that this is all there is to it massively misses the point.
Distributed computing is not a simple matter of just sticking the computers together, throwing the data at them and then saying “Get on with it”! For a distributed computation to work effectively, those systems must cooperate, and must do so without lots of manual intervention by people. This is usually done by splitting problems into smaller pieces, each of which can be tackled more simply than the whole problem. The results of doing each piece are then reassembled into the full solution.
The power of distributed computing can clearly be seen in some of the most ubiquitous of modern applications: the Internet search engines. These use massive amounts of distributed computing to discover and index as much of the Web as possible. Then when they receive your query, they split it up into fast searches for each of the words in the query. The results of the search are then combined in the twinkling of an eye into your results. What about locating computers on which to execute the web search? That is itself a distributed computing problem, both in the process of looking up computer addresses and also in finding an actual computer to respond to the message sent on that address.
Early distributed systems worked over short distances, perhaps only within a single room, and all they could really do was to share a very few values at set points of the computation. Since then, things have evolved: networks have got faster, numbers of computers have got larger and the distances between the systems have got larger too.
The speeding up of the networks (from the telecommunications revolution) has been extremely beneficial as it has allowed many more values to be shared effectively, and more often. The larger number of computers has only partially helped; while it has meant that it is possible to use more total computation and to split the problems into smaller pieces (allowing a larger overall problem), it has also increased the amount of time and effort that needs to be spent on communication between the computers, since the number of ways to communicate can increase (see Figure 1).
**Inserted here: crystal structures:**
'''
Diffraction record for Na4Zn3S5. The powder diffractogram is theoretical, not measured: it uses DFT lattice parameters and positions (PBE) and Cu Kα (λ = 1.5418 Å).
Peak positions follow from Bragg's law for the DFT cell and can differ from measured ones.

Top 10 peaks for 2θ from 10° to 90°, by angle:
Position (°2θ), I/Imax, index
11.55, 100, 1 0 2
23.20, 57, 2 0 4
26.81, 38, 0 1 3
27.69, 32, 1 1 3
30.08, 88, 2 1 3
34.19, 51, 5 0 1
37.37, 29, 1 1 6
40.74, 31, 0 1 7
45.58, 66, 5 1 4
46.28, 58, 0 2 0

Crystal structure
```
data_Na4Zn3S5
_chemical_formula_sum 'Na16 Zn12 S20'
_symmetry_space_group_name_H-M 'P n m a'
_symmetry_Int_Tables_number 62
_symmetry_space_group_name_Hall '-P 2ac 2n'
_cell_length_a 13.241
_cell_length_b 3.924
_cell_length_c 18.784
_cell_angle_alpha 90.00
_cell_angle_beta 90.00
_cell_angle_gamma 90.00
loop_
_atom_site_label
_atom_site_type_symbol
_atom_site_fract_x
_atom_site_fract_y
_atom_site_fract_z
Na1 Na 0.011 0.250 0.081
Na2 Na 0.012 0.750 0.262
Na3 Na 0.103 0.250 0.548
Na4 Na 0.237 0.750 0.164
Zn1 Zn 0.082 0.250 0.366
Zn2 Zn 0.172 0.750 0.783
Zn3 Zn 0.208 0.250 0.958
S1 S 0.099 0.750 0.662
S2 S 0.115 0.750 0.435
S3 S 0.119 0.250 0.848
S4 S 0.158 0.250 0.253
S5 S 0.159 0.750 0.023
```

=====

Diffraction record for Pm4Er4Tl. The powder diffractogram is theoretical, not measured: it uses DFT lattice parameters and positions (PBE) and Cu Kα (λ = 1.5418 Å).
Peak positions follow from Bragg's law for the DFT cell and can differ from measured ones.

Top 10 peaks for 2θ from 10° to 90°, by angle:
Position (°2θ), I/Imax, index
30.97, 100, 3 0 1
35.67, 34, 3 3 0
36.38, 16, 0 0 2
51.34, 12, 6 0 0
51.87, 24, 3 3 2
61.18, 29, 6 3 1
62.12, 14, 3 0 3
64.55, 12, 6 0 2
83.87, 6, 9 0 1
84.70, 12, 6 3 3

Crystal structure
```
data_Pm4Er4Tl
_chemical_formula_sum 'Pm8 Er8 Tl2'
_symmetry_space_group_name_H-M 'I 4/m m m'
_symmetry_Int_Tables_number 139
_symmetry_space_group_name_Hall '-I 4 2'
_cell_length_a 10.678
_cell_length_b 10.678
_cell_length_c 4.939
_cell_angle_alpha 90.00
_cell_angle_beta 90.00
_cell_angle_gamma 90.00
loop_
_atom_site_label
_atom_site_type_symbol
_atom_site_fract_x
_atom_site_fract_y
_atom_site_fract_z
Pm1 Pm 0.000 0.333 0.000
Er1 Er 0.162 0.162 0.500
Tl1 Tl 0.000 0.000 0.000
```

=====

Diffraction record for Tb4Y9Tm11. The powder diffractogram is theoretical, not measured: it uses DFT lattice parameters and positions (PBE) and Cu Kα (λ = 1.5418 Å).
Peak positions follow from Bragg's law for the DFT cell and can differ from measured ones.

Top 10 peaks for 2θ from 10° to 90°, by angle:
Position (°2θ), I/Imax, index
29.03, 7, 5 3 0
30.35, 15, 2 4 1
30.46, 43, 4 6 0
31.28, 16, 3 3 1
32.45, 7, 6 0 0
32.67, 100, 4 0 1
34.48, 12, 3 5 1
49.96, 11, 0 0 2
55.64, 7, 6 10 1
59.66, 14, 4 6 2

Crystal structure
```
data_Tb4Y9Tm11
_chemical_formula_sum 'Tb8 Y18 Tm22'
_symmetry_space_group_name_H-M 'C m m m'
_symmetry_Int_Tables_number 65
_symmetry_space_group_name_Hall '-C 2 2'
_cell_length_a 16.552
_cell_length_b 24.981
'''
There are, of course, ways to improve communication efficiency, for instance by having a few computers specialize in handling the communications (like a post office) and letting all others focus on the work, but this does not always succeed when the overall task requires much communication.
The distance between computers has increased for different reasons. Computers consume power and produce heat. A single PC normally only consumes a small amount of power and produces a tiny amount of heat; it is typically doing nearly nothing, waiting for its users to tell it to take an action. With a computational task, it would be far busier and will be consuming electrical energy in the process; the busier it is, the more it consumes and produces heat. Ten busy PCs in a room can produce as much heat as a powerful domestic electric heater. With thousands in one place, very powerful cooling is required to prevent the systems from literally going up in smoke. Distributing the power consumption and heat production reduces that problem dramatically, but at a cost of more communications delay due to the greater distances that the data must travel.
There are many ways that a distributed system can be built. You can do it by federating traditional supercomputers (themselves the heirs to the original distributed computing experiments) to produce systems that are expensive but able to communicate within themselves very rapidly; this remains favoured for dealing with problems where the degree of internal communication is very high, such as weather modelling or fluid flow simulations. You can also make custom clusters of more traditional PCs that are still dedicated to being high-capability computers; these have slower internal communications but are cheaper, and are suited for many “somewhat-parallel” problems, such as statistical analysis or searching a database for matches (e.g., searching the web). And you can even build them by , in effect, scavenging spare computer cycles from across a whole organization through a special screen saver (e.g., Condor, BOINC); this is used by many scientific projects to analyse large amounts of data where each piece is fairly small and unrelated to the others (e.g., Folding@Home, SETI@Home, Malaria Control).
We are now moving from having the number of computers working on a problem being small enough to fit in a building or two to having tens of thousands of computers working on single problems. This brings many special challenges that mark distributed computing as being a vastly more complex enterprise than what has gone before.
Entry 1:
Diffraction record for HoTmAg2Sn2. The XRD peak list is theoretical, not measured: it uses the GGA-PBE geometry in OQMD and λ = 1.5418 Å (Cu Kα).
Lines closer than 0.1° are merged.

Atomic structure:
```
6
Lattice="4.714 0.000 0.000 -2.357 4.082 0.000 0.000 0.000 7.279" Properties=species:S:1:pos:R:3 pbc="T T T"
Ho 0.000 0.000 0.000
Tm 0.000 0.000 3.642
Ag 0.000 2.722 1.382
Ag 2.357 1.361 5.011
Sn 0.000 2.722 5.670
Sn 2.357 1.361 2.039
```

Largest 6 diffraction maxima, in order of rising 2θ, 2θ from 10° to 90°:
| 2θ (°) | intensity |
| --- | --- |
| 32.97 | 100 |
| 38.18 | 78 |
| 43.38 | 16 |
| 51.32 | 29 |
| 64.72 | 14 |
| 65.73 | 27 |

***

Entry 2:
Diffraction record for YHoAg2Sn2. The XRD peak list is theoretical, not measured: it uses the GGA-PBE geometry in OQMD and λ = 1.5418 Å (Cu Kα).
Lines closer than 0.1° are merged.

Atomic structure:
```
6
Lattice="4.731 0.000 0.000 -2.365 4.097 0.000 0.000 0.000 7.318" Properties=species:S:1:pos:R:3 pbc="T T T"
Y 0.000 0.000 0.000
Ho 0.000 0.000 3.661
Ag 0.000 2.731 1.397
Ag 2.365 1.366 5.046
Sn 0.000 2.731 5.701
Sn 2.365 1.366 2.051
```

Largest 6 diffraction maxima, in order of rising 2θ, 2θ from 10° to 90°:
| 2θ (°) | intensity |
| --- | --- |
| 24.91 | 18 |
| 32.82 | 100 |
| 38.04 | 86 |
| 43.16 | 23 |
| 51.10 | 28 |
| 65.45 | 27 |

***

Entry 3:
Diffraction record for SrHo4Ag. The XRD peak list is theoretical, not measured: it uses the GGA-PBE geometry in OQMD and λ = 1.5418 Å (Cu Kα).
Lines closer than 0.1° are merged.

Atomic structure:
```
6
Lattice="2.784 1.607 7.228 -2.784 1.607 7.228 0.000 -3.215 7.228" Properties=species:S:1:pos:R:3 pbc="T T T"
Sr 0.000 0.000 0.000
Ho 0.000 0.000 4.550
Ho 0.000 0.000 8.075
Ho 0.000 0.000 13.608
Ho 0.000 0.000 17.134
Ag 0.000 0.000 10.842
```

Largest 6 diffraction maxima, in order of rising 2θ, 2θ from 10° to 90°:
| 2θ (°) | intensity |
| --- | --- |
| 27.67 | 50 |
| 32.15 | 100 |
| 34.41 | 41 |
| 47.81 | 16 |
| 57.32 | 19 |
| 58.78 | 18 |

=====

1.
Simulated powder XRD pattern
Compound: InGeSb2
Radiation: Cu Kα
Structure: a crystal structure in Alexandria, relaxed with PBE

Largest 10 diffraction maxima, in order of falling intensity, 2θ from 10° to 90°:
- d 2.776, 2θ = 32.24°, intensity 100, hkl 0 1 5
- d 2.037, 2θ = 44.48°, intensity 52, hkl 1 1 0
- d 2.376, 2θ = 37.87°, intensity 41, hkl 1 0 7
- d 3.366, 2θ = 26.48°, intensity 27, hkl 0 1 2
- d 2.989, 2θ = 29.90°, intensity 26, hkl 1 0 4
- d 1.380, 2θ = 67.95°, intensity 24, hkl 1 1 12
- d 1.642, 2θ = 55.99°, intensity 20, hkl 2 0 5
- d 3.485, 2θ = 25.56°, intensity 19, hkl 1 0 1
- d 1.278, 2θ = 74.17°, intensity 17, hkl 1 2 5
- d 1.897, 2θ = 47.95°, intensity 14, hkl 1 0 10

Lattice parameters (Å, degrees): 4.0737 4.0737 22.5004 90.00 90.00 120.00
Space group R3m (No. 160, hexagonal axes)
Inequivalent atoms, fractional coordinates:
1 In 0.0000 0.0000 0.0000 (multiplicity 3)
2 Ge 0.0000 0.0000 0.1678 (multiplicity 3)
3 Sb 0.0000 0.0000 0.5759 (multiplicity 3)
(The piece goes on)
The first of these special problems is security. The first aspect of security is the security of the computers themselves, since few people feel like giving some wannabe digital mobster a free pass to misuse their computers. The second aspect is the security of the data being processed, much of which may be highly confidential or a trade secret (e.g., individual patients’ medical data, or the designs for products under development). The third aspect of security is the security of the messages used to control the other computers, which are often important in themselves and could be used to conduct a wide range of other mischief if intercepted.
The second special problem of distributed computing is due to the use of systems owned by others, either other people or other organizations. The issues here are to do with the fact that people ultimately retain control over their own systems; they do not like to cede it to others. This behaviour could be considered just a matter of human nature, but it does mean that it is extremely difficult to trust others in this space. The key worries relate to either the computer owner lying about what actions were taken on their systems (for pride, for financial gain, for spite, or just out of straight ignorance) or the distributed computer user using the system for purposes other than those that the computer owner wants to permit.
Interoperability presents the third challenge for distributed computing. Because the systems that people use to provide large-scale computing capabilities have grown over many years, the ways in which they are accessed are quite diverse. This does mean that a lot of effort has been put into finding out access methods that balance the need for efficiency with those of security and flexibility, but it also means that frequently it is extremely difficult to make these systems work together as one larger system. Past attempts by hardware and software vendors to lock people in to specific solutions have not been helpful here either; researchers and practitioners want to solve a far more diverse collection of challenges than the vendors have imagined there to be. After all, the number of things that people wish to do is limited only by the human imagination.
These challenges can be surmounted though, even if the final form of the solutions is not yet clear. We know that the demands of security can be met through a combination of encryption, digital signatures, firewalls, and placing careful constraints on what can be done by any program. The second challenge is being met through the use of techniques from digital commerce like formal contracts, service level agreements, and appropriate audit and provenance trails. The third, which will become ever more important as the size of problems people wish to tackle expands, is primarily dealt with through standardization of both the access mechanisms (whether for computation or for data) and the formal understanding of the systems being accessed by common models, lexicons and ontologies.
**Misplaced records of crystals:**
/*
1.
Starting from the PBE geometry in the Materials Project, the powder diffraction line list of SbCl3F2 was simulated for Cu Ka.
Peak positions follow from Bragg's law for the DFT cell and can differ from measured ones.

Peak list (10 most intense, 10 to 90 degrees two-theta, most intense first)
2θ (°), intensity
13.66, 100.0
18.81, 44.8
26.92, 43.3
19.09, 42.7
21.05, 29.9
39.40, 29.7
23.99, 28.8
44.05, 20.1
29.95, 17.9
46.64, 15.8

Cell and atoms:
```
data_SbCl3F2
_chemical_formula_sum 'Sb8 Cl24 F16'
_symmetry_space_group_name_H-M 'I 4'
_symmetry_Int_Tables_number 79
_cell_length_a 13.3432
_cell_length_b 13.3432
_cell_length_c 7.4176
_cell_angle_alpha 90.00
_cell_angle_beta 90.00
_cell_angle_gamma 90.00
loop_
_symmetry_equiv_pos_as_xyz
'x,y,z'
'-y,x,z'
'-x,-y,z'
'y,-x,z'
'x+1/2,y+1/2,z+1/2'
'-y+1/2,x+1/2,z+1/2'
'-x+1/2,-y+1/2,z+1/2'
'y+1/2,-x+1/2,z+1/2'
loop_
_atom_site_label
_atom_site_type_symbol
_atom_site_fract_x
_atom_site_fract_y
_atom_site_fract_z
Sb1 Sb 0.0465 0.2193 0.0000
Cl1 Cl 0.0397 0.1930 0.3098
Cl2 Cl 0.0580 0.6418 0.9895
Cl3 Cl 0.2007 0.2987 0.9902
F1 F 0.0413 0.1978 0.7462
F2 F 0.0783 0.8789 0.9899
```



2.
Starting from the PBE geometry in the Materials Project, the powder diffraction line list of As4Pd5Pb was simulated for Cu Ka.
Peak positions follow from Bragg's law for the DFT cell and can differ from measured ones.

Peak list (10 most intense, 10 to 90 degrees two-theta, most intense first)
2θ (°), intensity
30.61, 100.0
41.38, 83.2
46.63, 56.3
41.05, 50.2
41.20, 49.7
46.02, 46.7
41.82, 41.6
46.50, 39.9
42.00, 39.2
31.13, 37.3

Cell and atoms:
```
data_As4Pd5Pb
_chemical_formula_sum 'As8 Pd10 Pb2'
_symmetry_space_group_name_H-M 'P 1'
_symmetry_Int_Tables_number 1
_cell_length_a 6.8161
_cell_length_b 6.8608
_cell_length_c 9.7398
_cell_angle_alpha 74.30
_cell_angle_beta 89.49
_cell_angle_gamma 60.43
loop_
_symmetry_equiv_pos_as_xyz
'x,y,z'
loop_
_atom_site_label
_atom_site_type_symbol
_atom_site_fract_x
_atom_site_fract_y
_atom_site_fract_z
As1 As 0.0000 0.0000 0.0000
As2 As 0.0489 0.2428 0.3196
As3 As 0.1756 0.6391 0.4174
As4 As 0.3545 0.2415 0.8175
As5 As 0.4747 0.4012 0.1093
As6 As 0.6512 0.9936 0.4987
As7 As 0.7685 0.4039 0.6072
As8 As 0.8283 0.6389 0.9199
Pd1 Pd 0.0715 0.6068 0.1756
Pd2 Pd 0.1671 0.2327 0.0615
Pd3 Pd 0.2483 0.2319 0.5610
Pd4 Pd 0.4055 0.8273 0.4600
Pd5 Pd 0.4128 0.8230 0.9574
Pd6 Pd 0.5861 0.3999 0.3673
Pd7 Pd 0.6494 0.4018 0.8644
Pd8 Pd 0.7372 0.0411 0.7383
Pd9 Pd 0.8703 0.0368 0.2382
Pd10 Pd 0.9666 0.5970 0.6780
Pb1 Pb 0.2243 0.8199 0.7116
Pb2 Pb 0.6001 0.8214 0.2105
```



3.
Starting from the PBE geometry in the Materials Project, the powder diffraction line list of Li4TbF8 was simulated for Cu Ka.
Peak positions follow from Bragg's law for the DFT cell and can differ from measured ones.

Peak list (10 most intense, 10 to 90 degrees two-theta, most intense first)
2θ (°), intensity
19.76, 100.0
17.62, 87.2
42.04, 41.1
17.90, 34.9
23.33, 31.7
29.56, 29.3
32.40, 23.3
42.30, 22.8
45.06, 17.2
*/
The final major challenge of distributed computing is managing the fact that neither the data nor the computations are open to relocation without bounds. Many datasets are highly restricted in where they can be placed, whether this is through legal constraints (such as on patient data) or because of the sheer size of the data; moving a terabyte of data across the world can take a long time, and in no time the most efficient technique becomes sending disks by courier, despite the large quantity of very high capacity networks that exist out there.
This would seem to indicate that it makes sense to move the computations to the location of the data, but that is not wholly practical either. Many applications are not easy to relocate: they require particular system environments (such as specialized hardware) or direct access to other data artefacts (specialized databases are a classic example of this) or are dependent on highly restricted software licenses (e.g., Matlab, Fluent, Mathematica, SAS, etc.; the list is enormous). This problem does not go away even when the users themselves develop the software — it is all too easy for them to include details of their development environment in the program so that it only works on their own computer or in their own institution — writing truly portable software is a special and rare talent.
Because of these fundamental restrictions that will not go away any time soon, it is important for someone tackling a problem (often an otherwise intractable problem) with distributed computing to take them into account when working out what they wish to do. In particular, they need to bear in mind the restrictions on where their data can be, where their applications can be, and what sort of computational patterns they are using in their overall workflow.
As a case in point, when performing drug discovery in relation to a disease, the first stage is to discover a set of potential candidate receptors for the drug to bind to in or on the cell (typically through a massive database search of the public literature, plus potentially relevant patient data, which is much akin to searching the web). This is then followed by a search for candidate substances that might bind to the receptor in a useful way, first coarsely (using a massive cycle scavenging pool) and then in depth (by computing binding energies using detailed quantum chemistry simulations on supercomputers). Once these candidates have been identified, they then have to be screened to see if there are warning areas associated with them that might make their use inadvisable (another database search, though this time probably with more ontology support so that related substances such as metabolites are also checked; this step will probably involve real patient data). If we look at the data-flow between these steps, we see that the amount of data actually moved around is kept relatively small; the databases being searched are mostly not relocated, despite their massive size. However, once these steps are completed, the scientist can have a much higher level of confidence that their in silico experiments will mean that follow-up clinical trials of the winning candidate will succeed, and in many cases it may be possible to skip some parts of the trials (for example, it might be the case that the literature search uncovers the fact that a toxicity trial has already been performed).
This use-case has other interesting aspects in terms of distributed computing, in that it involves the blending of both public and private information to produce a result. The initial searches for binding receptors relating to a particular disease will often involve mainly public data — archives of scientific papers — and much of the coarse fit checking that identifies potential small molecules for analysis will benefit from being farmed out across such large numbers of computers that the use of public cycle scavengers makes sense; it would be difficult to backtrack from the pair of molecules being matched to exactly what was being searched for. On the other hand, there are strong reasons for being very careful with the later stages of the discovery process; scientists are looking at that stage in great depth at a small number of molecules, making it relatively easy for a competitor to act pre-emptively. Moreover, the use of detailed patient data means that care has to be taken to avoid breaches of privacy. In addition, the applications for the detailed analysis steps are often costly commercial products. This means that the overall workflow has both public and private parts, both in the data and computational domains, and so there are inherent complexities. On the other hand, this is also an application area that was impossible to tackle until very recently, and distributed computing has opened it up.
It should also be noted that distributed computing has many benefits at the smaller scale. For example, it is a key component of providing acceleration for many more commonplace problems, such as recalculating a complex spreadsheet or compiling a complex program. These tasks also use distributed computing, though only within the scope of a workgroup or enterprise. And yet there is truly a continuum between them and the very large research Grids and commercial Clouds, and that continuum is founded upon the fact that bringing more computational power together with larger amounts of data allows the discovery of finer levels of detail about the area being studied. The major differences involve how they respond to the problems of security, complex ownership of the parts, and interoperability. This is because those smaller scale solutions can avoid most of the security complexity, only needing at most SSL-encrypted communications, and they work within a single organization (which in turn allows imposition of a single-vendor solution, thus avoiding the interoperability problems). Of course, as time goes by this gap may be closed from both sides; from the lower end as the needs for more computation combine with the availability of virtual-machines-for-hire (through Cloud computing) and from the upper end as the benefits of simplified security and widespread standardized software stacks make adoption of scalable solutions easier.